_Contents_
........
# Pm6Ag5Sb
Simulated PXRD pattern, Cu Kα X-rays. Input: the GGA-PBE geometry in Alexandria.
Peak positions follow from Bragg's law for the DFT cell and can differ from measured ones.

Largest 10 diffraction maxima, sorted by position, 2θ from 10° to 80°:
2θ (°), I (rel.)
33.71, 100
34.06, 20
48.23, 7
48.64, 14
60.11, 7
60.25, 14
60.36, 7
60.74, 14
70.92, 9
71.70, 2

Crystal structure
```
Pm6Ag5Sb
1.0
-2.6326 3.7735 7.9854
2.6326 -3.7735 7.9854
2.6326 3.7735 -7.9854
Pm Ag Sb
6 5 1
Direct
0.0821 0.3329 0.7493
0.2483 0.0000 0.2483
0.4164 0.6671 0.7493
0.5836 0.3329 0.2507
0.7517 0.0000 0.7517
0.9179 0.6671 0.2507
0.0000 0.5000 0.5000
0.1678 0.1678 0.0000
0.3254 0.8254 0.5000
0.6746 0.1746 0.5000
0.8322 0.8322 0.0000
0.5000 0.5000 0.0000
```

***

# Tb5Y2Sb4
Simulated PXRD pattern, Cu Kα X-rays. Input: the GGA-PBE geometry in Alexandria.
Peak positions follow from Bragg's law for the DFT cell and can differ from measured ones.

Largest 10 diffraction maxima, sorted by position, 2θ from 10° to 80°:
2θ (°), I (rel.)
22.34, 40
24.85, 30
26.81, 63
28.48, 42
30.26, 59
32.75, 39
32.87, 92
36.04, 100
40.12, 39
44.81, 44

Crystal structure
```
Tb5Y2Sb4
1.0
11.2251 -2.0224 0.0000
11.2251 2.0224 0.0000
-1.2890 0.0000 7.7438
Tb Y Sb
5 2 4
Direct
0.0000 0.0000 0.0000
0.3127 0.3127 0.9254
0.4428 0.4428 0.6163
0.5572 0.5572 0.3837
0.6873 0.6873 0.0746
0.2969 0.2969 0.3613
0.7031 0.7031 0.6387
0.1544 0.1544 0.3404
0.4247 0.4247 0.2122
0.5753 0.5753 0.7878
0.8456 0.8456 0.6596
```

***

# AcCd4Ni
Simulated PXRD pattern, Cu Kα X-rays. Input: the GGA-PBE geometry in Alexandria.
Peak positions follow from Bragg's law for the DFT cell and can differ from measured ones.

Largest 10 diffraction maxima, sorted by position, 2θ from 10° to 80°:
2θ (°), I (rel.)
29.06, 16
31.24, 15
31.45, 100
32.99, 54
33.64, 18
37.40, 27
37.82, 32
40.83, 35
42.29, 16
56.57, 18

Crystal structure
```
AcCd4Ni
1.0
8.5481 0.0000 0.0000
0.0000 4.4201 0.0000
0.0000 0.0000 7.5165
Ac Cd Ni
2 8 2
Direct
0.2500 0.0000 0.0923
0.7500 0.0000 0.9077
0.0000 0.0000 0.5000
0.0602 0.5000 0.7967
0.2500 0.5000 0.4528
0.4398 0.5000 0.7967
0.5000 0.0000 0.5000
0.5602 0.5000 0.2033
0.7500 0.5000 0.5472
0.9398 0.5000 0.2033
0.2500 0.0000 0.7079
0.7500 0.0000 0.2921
```

***

# SmTmPb2
Simulated PXRD pattern, Cu Kα X-rays. Input: the GGA-PBE geometry in Alexandria.
Peak positions follow from Bragg's law for the DFT cell and can differ from measured ones.

Largest 10 diffraction maxima, sorted by position, 2θ from 10° to 80°:
2θ (°), I (rel.)
28.87, 41
29.05, 99
29.25, 58
30.59, 83
35.97, 50
36.43, 87
36.90, 38
40.03, 100
50.73, 39
51.68, 41

Crystal structure
```
SmTmPb2
1.0
6.3708 0.0000 0.0000
0.0000 6.3724 0.0000
-2.8897 0.0000 11.6897
Sm Tm Pb
4 4 8
Direct
0.1865 0.1278 0.1307
0.1865 0.8722 0.6307
0.8135 0.1278 0.3693
0.8135 0.8722 0.8693
0.3213 0.3712 0.8737
0.3213 0.6288 0.3737
0.6787 0.3712 0.6263
0.6787 0.6288 0.1263
0.1689 0.3726 0.6049
0.1689 0.6274 0.1049
0.3295 0.1315 0.4026
0.3295 0.8685 0.9026
0.6705 0.1315 0.0974
0.6705 0.8685 0.5974
0.8311 0.3726 0.8951
0.8311 0.6274 0.3951
```

***

# SrHgS2
Simulated PXRD pattern, Cu Kα X-rays. Input: the GGA-PBE geometry in Alexandria.
Peak positions follow from Bragg's law for the DFT cell and can differ from measured ones.

Largest 10 diffraction maxima, sorted by position, 2θ from 10° to 80°:
2θ (°), I (rel.)
10.55, 17
22.79, 44
24.21, 23
25.79, 100
29.25, 36
36.19, 17
37.40, 27
41.91, 32
49.81, 20
53.02, 18

Crystal structure
```
SrHgS2
1.0
4.6216 0.0000 0.0000
0.0000 6.1058 0.0000
-0.7003 0.0000 8.3817
Sr Hg S
2 2 4
Direct
0.2162 0.0000 0.3693
0.7838 0.5000 0.6307
0.3320 0.5190 0.1204
0.6680 0.0190 0.8796
0.2494 0.4937 0.4003
0.3207 0.4137 0.8478
0.6793 0.9137 0.1522
0.7506 0.9937 0.5997
```

***

# Y6ErTm2Sc
Simulated PXRD pattern, Cu Kα X-rays. Input: the GGA-PBE geometry in Alexandria.
Peak positions follow from Bragg's law for the DFT cell and can differ from measured ones.
........

_What to do_
The reader should filter the notes above: keep the lines with the word "AcCd4Ni".

_Written answer_
# AcCd4Ni
AcCd4Ni